A few helpful hints from your girl in blue. Here is the truth Flight Attendants do not enforce rules to be bossy. I know shocking right? We have to comply with both airline rules and federal regulations. We can and will be fined if we do not enforce these things. Some seem petty and small and some are obvious, but ALL must be followed. Here are a few reasons why we have certain rules. If I was explaining it to small children I would say because you will die!!!! LOL! So here is the expanded explanation.
1. Your bags can not block the space at your feet. Even if you don't mind! Or be in the aisle. Yes people sometimes just drop their bag in the aisle and walk away and are annoyed and confused as to why this is not ok. So here it is if we have to evacuate you are not going to be able to get out if there are bags blocking your way. It may be dark or smokey and your best shot is a clear path. So stow your bag!
2. Unplug from the outlets for take off and landing. Think about it if that cord is entangled in your legs and there is an evacuation you could trip. I am pretty sure it will be ok for the 5 minutes of taxi and take off for you to unplug.
3. Remain seated during turbulence... Even if you have to go to the bathroom. There is not actually a magic bubble around you that makes it ok. Not only can you hurt yourself but you could also become a projectile yourself and hurt others. We are required to tell you the seatbelt sign is on. We can NOT say it is ok to be up or we will be fined and if you hurt yourself the first thing out of your mouth will be "but they said it was ok"... So Yes you can go but NO I did not say it was ok. This is usually a long back and forth with the passenger saying but I have to go and me saying the seatbelt sign is on, so can I go? I have to tell you the seatbelt sign is on. But I really have to go so is it ok? UGGGG
4. Put your mask on before helping others. This is another important one. There is a little thing called hypoxia. So if you are flying at 35,000 feet the effects will take approximately 30sec. -1 min. and you will no longer be able to put your own mask on. SOOOO make sure you put your mask on, then your kids! Also hold on because the Captain will need to get the plane to 10,000 ft as quick as possible. This will make the air breathable even with out it being pressurized.
Here are a few more that are not necessarily safety but still need to be followed.
1. Do not hand me your bag of throw up! I mean not ever! That is gross! I don't know you, you may have the plague for all I know and even if you don't, puke is GROSS!!! You need to put it in the lavatory trash. I can not put it in the galley trash because that is our kitchen and we serve the food and drinks in that area. It is not sanitary. Just use some common sense here would you want to be handed a bag of puke? This same rule applies for your babies diaper. I do NOT want to touch that either! Nope not ever!
_Misplaced calculated crystals_
- - -
Diffraction record for S. The powder diffraction line list is computed, not measured: it uses a cell relaxed with GGA-PBE and λ = 1.5418 Å (Cu Kα).
Peak positions follow from Bragg's law for the DFT cell and can differ from measured ones.

Crystal structure
Cell: 14.7219 14.1474 9.6196 Å, 73.80 67.34 38.86°
Fractional positions:
S 0.0721 0.1719 0.7323
S 0.1195 0.2260 0.3586
S 0.1719 0.0721 0.5236
S 0.1952 0.2934 0.7435
S 0.2041 0.6414 0.7740
S 0.2260 0.1195 0.7959
S 0.2426 0.3469 0.3706
S 0.2565 0.7320 0.8048
S 0.2677 0.4764 0.9279
S 0.2680 0.7435 0.2934
S 0.2934 0.1952 0.2680
S 0.3469 0.2426 0.5399
S 0.3586 0.7959 0.1195
S 0.3706 0.5399 0.2426
S 0.4601 0.6294 0.6531
S 0.4764 0.2677 0.8281
S 0.5236 0.7323 0.1719
S 0.5399 0.3706 0.3469
S 0.6294 0.4601 0.7574
S 0.6414 0.2041 0.8805
S 0.6531 0.7574 0.4601
S 0.7066 0.8048 0.7320
S 0.7320 0.2565 0.7066
S 0.7323 0.5236 0.0721
S 0.7435 0.2680 0.1952
S 0.7574 0.6531 0.6294
S 0.7740 0.8805 0.2041
S 0.7959 0.3586 0.2260
S 0.8048 0.7066 0.2565
S 0.8281 0.9279 0.4764
S 0.8805 0.7740 0.6414
S 0.9279 0.8281 0.2677

Top 10 peaks for 2θ = 5–70°, most intense first:
2θ (°)	d (Å)	I/Imax
20.02	4.436	100.0
24.17	3.683	39.1
9.97	8.871	30.4
22.74	3.911	29.8
14.01	6.320	29.2
18.75	4.732	27.1
19.73	4.500	26.3
26.21	3.401	26.1
25.48	3.496	25.0
45.29	2.002	14.7

=====

Diffraction record for S. The powder diffraction line list is computed, not measured: it uses a cell relaxed with GGA-PBE and λ = 1.5418 Å (Cu Kα).
Peak positions follow from Bragg's law for the DFT cell and can differ from measured ones.

Crystal structure
Cell: 8.4409 8.4409 4.4034 Å, 90.00 90.00 120.00°
Fractional positions:
S 0.0000 0.8999 0.3333
S 0.1001 0.1001 0.0000
S 0.2466 0.5577 0.5593
S 0.3112 0.7534 0.8927
S 0.4423 0.6888 0.2260
S 0.5577 0.2466 0.4407
S 0.6888 0.4423 0.7740
S 0.7534 0.3112 0.1073
S 0.8999 0.0000 0.6667

Top 10 peaks for 2θ = 5–70°, most intense first:
2θ (°)	d (Å)	I/Imax
21.05	4.220	100.0
29.31	3.047	41.1
42.40	2.132	15.8
31.82	2.812	15.7
49.49	1.842	14.8
53.20	1.722	14.6
47.80	1.903	9.8
64.78	1.439	6.0
38.46	2.340	5.8
66.48	1.406	4.9

=====

Diffraction record for S. The powder diffraction line list is computed, not measured: it uses a cell relaxed with GGA-PBE and λ = 1.5418 Å (Cu Kα).
Peak positions follow from Bragg's law for the DFT cell and can differ from measured ones.

Crystal structure
Cell: 11.8547 11.8547 9.6597 Å, 101.17 101.17 50.26°
Fractional positions:
S 0.0325 0.1599 0.7487
S 0.0464 0.8640 0.6865
S 0.0615 0.6907 0.0780
S 0.0844 0.4889 0.6928
S 0.1180 0.4655 0.3615
S 0.1360 0.9536 0.8135
S 0.1599 0.0325 0.2487
S 0.2075 0.3369 0.5294
S 0.2579 0.6363 0.0425
S 0.3093 0.9385 0.4220
S 0.3369 0.2075 0.0294
S 0.3637 0.7421 0.4575
S 0.4181 0.4907 0.1905
S 0.4655 0.1180 0.8615
S 0.4889 0.0844 0.1928
S 0.4907 0.4181 0.6905
S 0.5093 0.5819 0.3095
S 0.5111 0.9156 0.8072
S 0.5345 0.8820 0.1385
S 0.5819 0.5093 0.8095
S 0.6363 0.2579 0.5425
S 0.6631 0.7925 0.9706
S 0.6907 0.0615 0.5780
S 0.7421 0.3637 0.9575
- - -
_Here the article continues_
2. If you smell like stink PLEASE for all that is good put some deodorant on! Some of you are rank. We are for sure judging you! The smells I have been subjected to are just wrong!
3. If you stretch your legs out in the aisle this is fine. However I may trip on them. It is like a tricky maze trying to get through the aisle add a night flight and forget it. You do not need to give me dirty looks or yell at me. There is only one way up and down that row and you are blocking it. Also there is a good chance I am going to nail you with the cart. I can't see over the top of it so if your leg, head or arm are hanging way over... I do feel bad and will apologize. But honestly some of this is on you.
4. Do not walk around the plane with no shoes on. It is gross! I am pretty confident it is not water on the floor of the lavatory. Oh and if you poo or pee all over the seat please for all that is good wipe it up!